Input.
~~~
Entry 1:
Below is Na3SbRh after structural relaxation, with properties calculated at the PBE-GGA level.

Computed properties:
Excess energy over the best structure of this formula in the dataset (eV/atom): 0.132
Formation energy from raw total energies (eV/atom): 0.710
DFT total energy (eV/atom): -2.3762
Space-group type: Pm-3m (221)

Cell lengths 5.765, 5.765, 5.765 Å; angles 90.00, 90.00, 90.00 degrees
Element x y z (fractional)
Sb 0.000 0.000 0.000
Na 0.000 0.500 0.000
Na 0.500 0.000 0.000
Na 0.000 0.000 0.500
Rh 0.500 0.500 0.500

***

Entry 2:
Below is Na3SbRh after structural relaxation, with properties calculated at the PBE-GGA level.

Computed properties:
Excess energy over the best structure of this formula in the dataset (eV/atom): 0.000
Formation energy from raw total energies (eV/atom): 0.578
DFT total energy (eV/atom): -2.5080
Space-group type: Pm-3m (221)

Cell lengths 5.255, 5.255, 5.255 Å; angles 90.00, 90.00, 90.00 degrees
Element x y z (fractional)
Na 0.500 0.000 0.000
Na 0.000 0.000 0.500
Na 0.000 0.500 0.000
Rh 0.000 0.000 0.000
Sb 0.500 0.500 0.500

***

Entry 3:
Below is NaSb3Rh after structural relaxation, with properties calculated at the PBE-GGA level.

Computed properties:
Excess energy over the best structure of this formula in the dataset (eV/atom): 0.000
Formation energy from raw total energies (eV/atom): 0.094
DFT total energy (eV/atom): -4.1138
Space-group type: Pm-3m (221)

Cell lengths 5.253, 5.253, 5.253 Å; angles 90.00, 90.00, 90.00 degrees
Element x y z (fractional)
Na 0.500 0.500 0.500
Sb 0.500 0.000 0.000
Sb 0.000 0.000 0.500
Sb 0.000 0.500 0.000
Rh 0.000 0.000 0.000

***

Entry 4:
Below is Na2Sb7Rh12 after structural relaxation, with properties calculated at the PBE-GGA level.

Computed properties:
Formation energy from raw total energies (eV/atom): -0.421
DFT total energy (eV/atom): -6.1213
Space-group type: P-6 (174)

Cell lengths 4.037, 10.495, 10.495 Å; angles 120.00, 90.00, 90.00 degrees
Element x y z (fractional)
Rh 0.500 0.234 0.799
Rh 0.500 0.565 0.766
Rh 0.500 0.201 0.435
Rh 0.500 0.900 0.612
Rh 0.000 0.778 0.726
Rh 0.000 0.274 0.052
Rh 0.000 0.948 0.222
Rh 0.500 0.388 0.287
Rh 0.500 0.713 0.100
Rh 0.000 0.057 0.543
Rh 0.000 0.457 0.513
Rh 0.000 0.487 0.943
Sb 0.000 0.333 0.667
Sb 0.000 0.052 0.788
Sb 0.500 0.628 0.551
Sb 0.500 0.449 0.077
Sb 0.000 0.736 0.948
Sb 0.500 0.923 0.372
Sb 0.000 0.212 0.264
Na 0.000 0.667 0.333
Na 0.500 0.000 0.000

***

Entry 5:
Below is NaSbRh3 after structural relaxation, with properties calculated at the PBE-GGA level.

Computed properties:
Excess energy over the best structure of this formula in the dataset (eV/atom): 0.000
Formation energy from raw total energies (eV/atom): 0.603
DFT total energy (eV/atom): -4.8965
Space-group type: Pm-3m (221)

Cell lengths 4.897, 4.897, 4.897 Å; angles 90.00, 90.00, 90.00 degrees
Element x y z (fractional)
Rh 0.500 0.000 0.000
Rh 0.000 0.500 0.000
Rh 0.000 0.000 0.500
Sb 0.000 0.000 0.000
Na 0.500 0.500 0.500

***

Entry 6:
Below is Na3Sb5Rh6 after structural relaxation, with properties calculated at the PBE-GGA level.

Computed properties:
Formation energy from raw total energies (eV/atom): -0.401
DFT total energy (eV/atom): -5.3067
Space-group type: Pmmn (59)

Cell lengths 4.225, 10.170, 13.425 Å; angles 90.00, 90.00, 90.00 degrees
Element x y z (fractional)
Na 0.000 0.252 0.338
Na 0.000 0.252 0.662
Na 0.500 0.748 0.162
Na 0.500 0.748 0.838
Na 0.000 0.243 0.000
Na 0.500 0.757 0.500
Sb 0.500 0.488 0.619
Sb 0.500 0.154 0.171
Sb 0.000 0.846 0.671
Sb 0.000 0.512 0.119
Sb 0.500 0.134 0.500
Sb 0.500 0.154 0.829
Sb 0.000 0.866 0.000
Sb 0.000 0.512 0.881
Sb 0.500 0.488 0.381
Sb 0.000 0.846 0.329
Rh 0.500 0.998 0.332
Rh 0.500 0.998 0.668
Rh 0.500 0.405 0.799
Rh 0.000 0.002 0.168
Rh 0.000 0.595 0.299
Rh 0.500 0.405 0.201
Rh 0.000 0.002 0.832
Rh 0.000 0.595 0.701
Rh 0.500 0.016 0.000
Rh 0.000 0.984 0.500
Rh 0.000 0.502 0.500
Rh 0.500 0.498 0.000

***

Entry 7:
~~~

Job.
Please return the entries further up unchanged.

Reply.
Entry 1:
Below is Na3SbRh after structural relaxation, with properties calculated at the PBE-GGA level.

Computed properties:
Excess energy over the best structure of this formula in the dataset (eV/atom): 0.132
Formation energy from raw total energies (eV/atom): 0.710
DFT total energy (eV/atom): -2.3762
Space-group type: Pm-3m (221)

Cell lengths 5.765, 5.765, 5.765 Å; angles 90.00, 90.00, 90.00 degrees
Element x y z (fractional)
Sb 0.000 0.000 0.000
Na 0.000 0.500 0.000
Na 0.500 0.000 0.000
Na 0.000 0.000 0.500
Rh 0.500 0.500 0.500

***

Entry 2:
Below is Na3SbRh after structural relaxation, with properties calculated at the PBE-GGA level.

Computed properties:
Excess energy over the best structure of this formula in the dataset (eV/atom): 0.000
Formation energy from raw total energies (eV/atom): 0.578
DFT total energy (eV/atom): -2.5080
Space-group type: Pm-3m (221)

Cell lengths 5.255, 5.255, 5.255 Å; angles 90.00, 90.00, 90.00 degrees
Element x y z (fractional)
Na 0.500 0.000 0.000
Na 0.000 0.000 0.500
Na 0.000 0.500 0.000
Rh 0.000 0.000 0.000
Sb 0.500 0.500 0.500

***

Entry 3:
Below is NaSb3Rh after structural relaxation, with properties calculated at the PBE-GGA level.

Computed properties:
Excess energy over the best structure of this formula in the dataset (eV/atom): 0.000
Formation energy from raw total energies (eV/atom): 0.094
DFT total energy (eV/atom): -4.1138
Space-group type: Pm-3m (221)

Cell lengths 5.253, 5.253, 5.253 Å; angles 90.00, 90.00, 90.00 degrees
Element x y z (fractional)
Na 0.500 0.500 0.500
Sb 0.500 0.000 0.000
Sb 0.000 0.000 0.500
Sb 0.000 0.500 0.000
Rh 0.000 0.000 0.000

***

Entry 4:
Below is Na2Sb7Rh12 after structural relaxation, with properties calculated at the PBE-GGA level.

Computed properties:
Formation energy from raw total energies (eV/atom): -0.421
DFT total energy (eV/atom): -6.1213
Space-group type: P-6 (174)

Cell lengths 4.037, 10.495, 10.495 Å; angles 120.00, 90.00, 90.00 degrees
Element x y z (fractional)
Rh 0.500 0.234 0.799
Rh 0.500 0.565 0.766
Rh 0.500 0.201 0.435
Rh 0.500 0.900 0.612
Rh 0.000 0.778 0.726
Rh 0.000 0.274 0.052
Rh 0.000 0.948 0.222
Rh 0.500 0.388 0.287
Rh 0.500 0.713 0.100
Rh 0.000 0.057 0.543
Rh 0.000 0.457 0.513
Rh 0.000 0.487 0.943
Sb 0.000 0.333 0.667
Sb 0.000 0.052 0.788
Sb 0.500 0.628 0.551
Sb 0.500 0.449 0.077
Sb 0.000 0.736 0.948
Sb 0.500 0.923 0.372
Sb 0.000 0.212 0.264
Na 0.000 0.667 0.333
Na 0.500 0.000 0.000

***

Entry 5:
Below is NaSbRh3 after structural relaxation, with properties calculated at the PBE-GGA level.

Computed properties:
Excess energy over the best structure of this formula in the dataset (eV/atom): 0.000
Formation energy from raw total energies (eV/atom): 0.603
DFT total energy (eV/atom): -4.8965
Space-group type: Pm-3m (221)

Cell lengths 4.897, 4.897, 4.897 Å; angles 90.00, 90.00, 90.00 degrees
Element x y z (fractional)
Rh 0.500 0.000 0.000
Rh 0.000 0.500 0.000
Rh 0.000 0.000 0.500
Sb 0.000 0.000 0.000
Na 0.500 0.500 0.500

***

Entry 6:
Below is Na3Sb5Rh6 after structural relaxation, with properties calculated at the PBE-GGA level.

Computed properties:
Formation energy from raw total energies (eV/atom): -0.401
DFT total energy (eV/atom): -5.3067
Space-group type: Pmmn (59)

Cell lengths 4.225, 10.170, 13.425 Å; angles 90.00, 90.00, 90.00 degrees
Element x y z (fractional)
Na 0.000 0.252 0.338
Na 0.000 0.252 0.662
Na 0.500 0.748 0.162
Na 0.500 0.748 0.838
Na 0.000 0.243 0.000
Na 0.500 0.757 0.500
Sb 0.500 0.488 0.619
Sb 0.500 0.154 0.171
Sb 0.000 0.846 0.671
Sb 0.000 0.512 0.119
Sb 0.500 0.134 0.500
Sb 0.500 0.154 0.829
Sb 0.000 0.866 0.000
Sb 0.000 0.512 0.881
Sb 0.500 0.488 0.381
Sb 0.000 0.846 0.329
Rh 0.500 0.998 0.332
Rh 0.500 0.998 0.668
Rh 0.500 0.405 0.799
Rh 0.000 0.002 0.168
Rh 0.000 0.595 0.299
Rh 0.500 0.405 0.201
Rh 0.000 0.002 0.832
Rh 0.000 0.595 0.701
Rh 0.500 0.016 0.000
Rh 0.000 0.984 0.500
Rh 0.000 0.502 0.500
Rh 0.500 0.498 0.000

***

Entry 7: